Request:
Next, print the part of the material underneath that starts with the line with "_cell_length_a 3.505" and stops after the one with "_cell_length_c 11.301".

Input:
+++
Entry i
# UTi, optimized geometry, DFT PBE-GGA
data_UTi
_chemical_formula_sum 'U1 Ti1'
_cell_length_a 2.948
_cell_length_b 2.948
_cell_length_c 5.103
_cell_angle_alpha 90.00
_cell_angle_beta 90.00
_cell_angle_gamma 120.00
_space_group_name_H-M_alt 'P 1'
_space_group_IT_number 1
_space_group_name_Hall 'P 1'
loop_
_atom_site_label
_atom_site_fract_x
_atom_site_fract_y
_atom_site_fract_z
U1 0.000 0.000 0.000
Ti1 0.333 0.667 0.500
# Volume   19.2 A^3/atom
# Symmetry   P-6m2, No. 187
# Crystal system   hexagonal

***

Entry ii
# UTi, optimized geometry, DFT PBE-GGA
data_UTi
_chemical_formula_sum 'U1 Ti1'
_cell_length_a 2.890
_cell_length_b 2.890
_cell_length_c 5.045
_cell_angle_alpha 90.00
_cell_angle_beta 90.00
_cell_angle_gamma 117.13
_space_group_name_H-M_alt 'P 1'
_space_group_IT_number 1
_space_group_name_Hall 'P 1'
loop_
_atom_site_label
_atom_site_fract_x
_atom_site_fract_y
_atom_site_fract_z
U1 0.500 0.500 0.500
Ti1 0.000 0.000 0.000
# Volume   18.7 A^3/atom
# Symmetry   Cmmm, No. 65
# Crystal system   orthorhombic

***

It comes down to entry ii, which is 0.007 eV/atom more stable than the next structure.

***

Entry i
# Tm, optimized geometry, DFT PBE-GGA
data_Tm
_chemical_formula_sum 'Tm2'
_cell_length_a 3.563
_cell_length_b 3.563
_cell_length_c 5.513
_cell_angle_alpha 90.00
_cell_angle_beta 90.00
_cell_angle_gamma 120.00
_space_group_name_H-M_alt 'P 1'
_space_group_IT_number 1
_space_group_name_Hall 'P 1'
loop_
_atom_site_label
_atom_site_fract_x
_atom_site_fract_y
_atom_site_fract_z
Tm1 0.333 0.667 0.750
Tm2 0.667 0.333 0.250
# Volume   30.3 A^3/atom
# Symmetry   P6_3/mmc, No. 194
# Crystal system   hexagonal

***

Entry ii
# Tm, optimized geometry, DFT PBE-GGA
data_Tm
_chemical_formula_sum 'Tm4'
_cell_length_a 3.505
_cell_length_b 3.505
_cell_length_c 11.301
_cell_angle_alpha 90.00
_cell_angle_beta 90.00
_cell_angle_gamma 120.00
_space_group_name_H-M_alt 'P 1'
_space_group_IT_number 1
_space_group_name_Hall 'P 1'
loop_
_atom_site_label
_atom_site_fract_x
_atom_site_fract_y
_atom_site_fract_z
Tm1 0.000 0.000 0.000
Tm2 0.333 0.667 0.250
Tm3 0.000 0.000 0.500
Tm4 0.667 0.333 0.750
# Volume   30.1 A^3/atom
# Symmetry   P6_3/mmc, No. 194
# Crystal system   hexagonal

***

Entry iii
# Tm, optimized geometry, DFT PBE-GGA
data_Tm
_chemical_formula_sum 'Tm1'
_cell_length_a 3.413
_cell_length_b 3.413
_cell_length_c 3.413
_cell_angle_alpha 109.47
_cell_angle_beta 109.47
_cell_angle_gamma 109.47
_space_group_name_H-M_alt 'P 1'
_space_group_IT_number 1
_space_group_name_Hall 'P 1'
loop_
_atom_site_label
_atom_site_fract_x
_atom_site_fract_y
_atom_site_fract_z
Tm1 0.000 0.000 0.000
# Volume   30.6 A^3/atom
# Symmetry   Im-3m, No. 229
# Crystal system   cubic

***

Entry iv
# Tm, optimized geometry, DFT PBE-GGA
data_Tm
_chemical_formula_sum 'Tm1'
_cell_length_a 3.488
_cell_length_b 3.488
_cell_length_c 3.488
_cell_angle_alpha 60.00
_cell_angle_beta 60.00
_cell_angle_gamma 60.00
_space_group_name_H-M_alt 'P 1'
_space_group_IT_number 1
_space_group_name_Hall 'P 1'
loop_
_atom_site_label
_atom_site_fract_x
_atom_site_fract_y
_atom_site_fract_z
Tm1 0.000 0.000 0.000
# Volume   30.0 A^3/atom
# Symmetry   Fm-3m, No. 225
# Crystal system   cubic

***

It comes down to entry i, which is 0.007 eV/atom more stable than the next structure.

***

Entry i
# Tm3V, optimized geometry, DFT PBE-GGA
data_Tm3V
_chemical_formula_sum 'Tm3 V1'
_cell_length_a 5.282
_cell_length_b 5.282
_cell_length_c 5.282
_cell_angle_alpha 119.97
_cell_angle_beta 119.97
_cell_angle_gamma 90.05
_space_group_name_H-M_alt 'P 1'
_space_group_IT_number 1
_space_group_name_Hall 'P 1'
loop_
_atom_site_label
_atom_site_fract_x
_atom_site_fract_y
_atom_site_fract_z
Tm1 0.750 0.250 0.500
Tm2 0.250 0.750 0.500
Tm3 0.500 0.500 0.000
V1 0.000 0.000 0.000
# Volume   26.1 A^3/atom
# Symmetry   I4/mmm, No. 139
# Crystal system   tetragonal

***

Entry ii
# Tm3V, optimized geometry, DFT PBE-GGA
data_Tm3V
_chemical_formula_sum 'Tm3 V1'
_cell_length_a 5.441
_cell_length_b 5.441
+++

Here it is:
_cell_length_a 3.505
_cell_length_b 3.505
_cell_length_c 11.301